**Wanted**
What is needed: set down all of the block below verbatim.
**Data**
+++
1.
Computed, not measured: a structure of composition C24H38N4OPdTe, with ωB97M-V/def2-TZVPD.

```
69
Properties=species:S:1:pos:R:3:mulliken_charge:R:1
Pd -1.75 -0.78 0.10 -0.5953
N -0.86 -2.42 -1.65 -0.2036
C 0.33 -1.99 -2.37 -0.6312
C 1.35 -1.37 -1.41 -0.9467
N 0.83 -0.24 -0.69 0.6438
C 0.97 1.09 -1.22 -0.8267
C -0.36 1.78 -1.54 -0.6506
N -1.31 1.64 -0.45 -0.2327
H -1.56 -2.82 -2.26 0.1708
H -0.62 -3.12 -0.94 0.0382
H 0.82 -2.80 -2.93 0.3671
H 0.01 -1.23 -3.10 0.3431
H 1.63 -2.14 -0.68 0.3479
H 2.25 -1.13 -1.99 0.3704
H 0.98 -0.31 0.31 -0.1226
H 1.52 1.72 -0.51 0.1905
H 1.57 1.06 -2.14 0.3551
H -0.13 2.83 -1.80 0.3685
H -0.80 1.31 -2.43 0.2957
H -0.91 1.89 0.46 0.1341
H -2.13 2.21 -0.60 0.1633
C 2.21 1.77 2.29 -1.3963
C 0.84 1.10 2.47 0.8039
O -0.15 1.86 2.65 -0.7748
N 0.89 -0.21 2.42 -0.8242
Te -1.15 -0.96 2.59 0.5983
C -3.07 -1.71 3.75 -0.9187
C -4.33 -1.36 3.29 1.3407
C -4.56 -0.50 2.07 -1.4704
C -5.47 -1.78 3.98 -0.8859
C -5.38 -2.53 5.14 0.7067
C -6.61 -2.98 5.88 -1.5255
C -4.11 -2.84 5.62 -0.9277
C -2.96 -2.43 4.95 1.6000
C -1.64 -2.76 5.58 -1.2126
C -0.46 -2.99 2.42 0.9743
C -1.21 -3.91 1.65 0.4217
C -2.55 -3.60 1.06 -1.1696
C -0.69 -5.18 1.43 -0.7925
C 0.52 -5.60 1.95 0.6326
C 1.05 -6.98 1.70 -1.5923
C 1.21 -4.70 2.75 -0.8273
C 0.75 -3.42 3.00 1.0362
C 1.57 -2.59 3.95 -1.9758
H 2.54 2.14 3.27 0.3877
H 2.11 2.64 1.63 0.3369
H 2.96 1.09 1.91 0.3000
H -3.79 -0.66 1.31 0.1560
H -4.54 0.56 2.34 0.3103
H -5.54 -0.71 1.63 0.3904
H -6.45 -1.52 3.60 0.2638
H -7.51 -2.74 5.32 0.3515
H -6.68 -2.50 6.86 0.3073
H -6.60 -4.06 6.06 0.3387
H -4.01 -3.40 6.54 0.3257
H -1.78 -3.08 6.61 0.3933
H -0.98 -1.89 5.58 0.1624
H -1.12 -3.55 5.04 0.1591
H -2.53 -2.63 0.51 0.0993
H -3.31 -3.48 1.84 0.2887
H -2.86 -4.41 0.39 0.3615
H -1.28 -5.87 0.82 0.2351
H 0.45 -7.50 0.95 0.3573
H 1.04 -7.58 2.61 0.3045
H 2.08 -6.95 1.34 0.3523
H 2.15 -5.01 3.20 0.3858
H 2.04 -3.24 4.69 0.5064
H 0.98 -1.84 4.46 0.1966
H 2.34 -2.04 3.41 0.3295
```

Values from the calculation:
<S²>	0.77
relative energy (zero: lowest compared OMol25 entry of this formula, charge and spin)	26.9	kcal per mole
molecular weight	632.615	g mol⁻¹
highest occupied orbital energy (spin up / spin down)	-2.75 / -2.76	eV
charge	-1
2S+1	2

---

2.
Computed, not measured: a structure of composition C43H43N11O4P2S5Se2TcTe at a distorted geometry, with ωB97M-V/def2-TZVPD.

```
112
Properties=species:S:1:pos:R:3:mulliken_charge:R:1
Tc -0.79 -1.55 0.34 0.5199
N 1.37 -2.65 1.22 -0.1847
N 2.59 -2.84 0.53 -0.3400
C 2.74 -3.84 -0.36 0.1600
N 4.03 -4.06 -0.75 -0.4601
S 1.50 -4.77 -0.92 -0.2076
H 1.57 -2.12 2.06 0.2038
H 0.98 -3.56 1.48 0.3884
H 3.42 -2.52 1.02 0.2941
H 4.75 -3.39 -0.55 0.1825
H 4.16 -4.64 -1.56 0.2265
Se -0.20 5.16 0.55 -0.3747
P 1.52 3.99 0.29 0.3840
C 2.77 4.09 1.61 0.2945
C 4.10 3.78 1.33 -0.2175
C 5.03 3.77 2.36 -0.7296
C 4.64 4.07 3.65 -0.4295
C 3.31 4.39 3.93 -0.6774
C 2.38 4.41 2.90 -0.3543
C 2.45 4.57 -1.16 -0.2735
C 2.47 3.95 -2.40 1.1725
C 3.09 4.56 -3.48 -0.5659
C 3.70 5.79 -3.33 -0.6502
C 3.69 6.42 -2.09 -0.7742
C 3.06 5.82 -1.01 -0.6701
C 1.09 2.23 0.35 1.1019
C 0.59 1.13 -0.37 -1.6464
N 0.18 0.23 0.58 1.8396
N 0.39 0.75 1.78 -0.7874
N 0.92 1.93 1.66 -0.5099
P 0.66 0.49 -2.03 0.3159
Se 0.45 -1.68 -1.89 0.0936
C -0.40 1.51 -3.09 0.8098
C -1.01 2.64 -2.57 -0.0695
C -1.70 3.49 -3.42 -0.7866
C -1.81 3.19 -4.77 -0.5785
C -1.24 2.03 -5.28 -0.7150
C -0.53 1.18 -4.44 -0.6086
C 2.39 0.76 -2.53 0.3373
C 2.77 1.24 -3.78 -0.1231
C 4.12 1.37 -4.09 -0.4619
C 5.08 1.02 -3.16 -0.7107
C 4.71 0.55 -1.91 -0.9323
C 3.37 0.41 -1.60 -0.5161
H 4.39 3.53 0.32 0.3982
H 6.07 3.54 2.14 0.4189
H 5.36 4.06 4.45 0.3950
H 3.01 4.64 4.93 0.4041
H 1.34 4.65 3.09 0.4021
H 2.01 2.99 -2.52 -0.3438
H 3.09 4.06 -4.45 0.4046
H 4.18 6.27 -4.17 0.3921
H 4.16 7.39 -1.96 0.4064
H 3.03 6.31 -0.05 0.4505
H -0.96 2.86 -1.51 0.2647
H -2.15 4.39 -3.01 0.4877
H -2.34 3.86 -5.43 0.4127
H -1.35 1.79 -6.32 0.4274
H -0.09 0.26 -4.81 0.5512
H 2.01 1.51 -4.50 0.3982
H 4.41 1.76 -5.06 0.4528
H 6.13 1.11 -3.41 0.4134
+++
**Response**
1.
Computed, not measured: a structure of composition C24H38N4OPdTe, with ωB97M-V/def2-TZVPD.

```
69
Properties=species:S:1:pos:R:3:mulliken_charge:R:1
Pd -1.75 -0.78 0.10 -0.5953
N -0.86 -2.42 -1.65 -0.2036
C 0.33 -1.99 -2.37 -0.6312
C 1.35 -1.37 -1.41 -0.9467
N 0.83 -0.24 -0.69 0.6438
C 0.97 1.09 -1.22 -0.8267
C -0.36 1.78 -1.54 -0.6506
N -1.31 1.64 -0.45 -0.2327
H -1.56 -2.82 -2.26 0.1708
H -0.62 -3.12 -0.94 0.0382
H 0.82 -2.80 -2.93 0.3671
H 0.01 -1.23 -3.10 0.3431
H 1.63 -2.14 -0.68 0.3479
H 2.25 -1.13 -1.99 0.3704
H 0.98 -0.31 0.31 -0.1226
H 1.52 1.72 -0.51 0.1905
H 1.57 1.06 -2.14 0.3551
H -0.13 2.83 -1.80 0.3685
H -0.80 1.31 -2.43 0.2957
H -0.91 1.89 0.46 0.1341
H -2.13 2.21 -0.60 0.1633
C 2.21 1.77 2.29 -1.3963
C 0.84 1.10 2.47 0.8039
O -0.15 1.86 2.65 -0.7748
N 0.89 -0.21 2.42 -0.8242
Te -1.15 -0.96 2.59 0.5983
C -3.07 -1.71 3.75 -0.9187
C -4.33 -1.36 3.29 1.3407
C -4.56 -0.50 2.07 -1.4704
C -5.47 -1.78 3.98 -0.8859
C -5.38 -2.53 5.14 0.7067
C -6.61 -2.98 5.88 -1.5255
C -4.11 -2.84 5.62 -0.9277
C -2.96 -2.43 4.95 1.6000
C -1.64 -2.76 5.58 -1.2126
C -0.46 -2.99 2.42 0.9743
C -1.21 -3.91 1.65 0.4217
C -2.55 -3.60 1.06 -1.1696
C -0.69 -5.18 1.43 -0.7925
C 0.52 -5.60 1.95 0.6326
C 1.05 -6.98 1.70 -1.5923
C 1.21 -4.70 2.75 -0.8273
C 0.75 -3.42 3.00 1.0362
C 1.57 -2.59 3.95 -1.9758
H 2.54 2.14 3.27 0.3877
H 2.11 2.64 1.63 0.3369
H 2.96 1.09 1.91 0.3000
H -3.79 -0.66 1.31 0.1560
H -4.54 0.56 2.34 0.3103
H -5.54 -0.71 1.63 0.3904
H -6.45 -1.52 3.60 0.2638
H -7.51 -2.74 5.32 0.3515
H -6.68 -2.50 6.86 0.3073
H -6.60 -4.06 6.06 0.3387
H -4.01 -3.40 6.54 0.3257
H -1.78 -3.08 6.61 0.3933
H -0.98 -1.89 5.58 0.1624
H -1.12 -3.55 5.04 0.1591
H -2.53 -2.63 0.51 0.0993
H -3.31 -3.48 1.84 0.2887
H -2.86 -4.41 0.39 0.3615
H -1.28 -5.87 0.82 0.2351
H 0.45 -7.50 0.95 0.3573
H 1.04 -7.58 2.61 0.3045
H 2.08 -6.95 1.34 0.3523
H 2.15 -5.01 3.20 0.3858
H 2.04 -3.24 4.69 0.5064
H 0.98 -1.84 4.46 0.1966
H 2.34 -2.04 3.41 0.3295
```

Values from the calculation:
<S²>	0.77
relative energy (zero: lowest compared OMol25 entry of this formula, charge and spin)	26.9	kcal per mole
molecular weight	632.615	g mol⁻¹
highest occupied orbital energy (spin up / spin down)	-2.75 / -2.76	eV
charge	-1
2S+1	2

---

2.
Computed, not measured: a structure of composition C43H43N11O4P2S5Se2TcTe at a distorted geometry, with ωB97M-V/def2-TZVPD.

```
112
Properties=species:S:1:pos:R:3:mulliken_charge:R:1
Tc -0.79 -1.55 0.34 0.5199
N 1.37 -2.65 1.22 -0.1847
N 2.59 -2.84 0.53 -0.3400
C 2.74 -3.84 -0.36 0.1600
N 4.03 -4.06 -0.75 -0.4601
S 1.50 -4.77 -0.92 -0.2076
H 1.57 -2.12 2.06 0.2038
H 0.98 -3.56 1.48 0.3884
H 3.42 -2.52 1.02 0.2941
H 4.75 -3.39 -0.55 0.1825
H 4.16 -4.64 -1.56 0.2265
Se -0.20 5.16 0.55 -0.3747
P 1.52 3.99 0.29 0.3840
C 2.77 4.09 1.61 0.2945
C 4.10 3.78 1.33 -0.2175
C 5.03 3.77 2.36 -0.7296
C 4.64 4.07 3.65 -0.4295
C 3.31 4.39 3.93 -0.6774
C 2.38 4.41 2.90 -0.3543
C 2.45 4.57 -1.16 -0.2735
C 2.47 3.95 -2.40 1.1725
C 3.09 4.56 -3.48 -0.5659
C 3.70 5.79 -3.33 -0.6502
C 3.69 6.42 -2.09 -0.7742
C 3.06 5.82 -1.01 -0.6701
C 1.09 2.23 0.35 1.1019
C 0.59 1.13 -0.37 -1.6464
N 0.18 0.23 0.58 1.8396
N 0.39 0.75 1.78 -0.7874
N 0.92 1.93 1.66 -0.5099
P 0.66 0.49 -2.03 0.3159
Se 0.45 -1.68 -1.89 0.0936
C -0.40 1.51 -3.09 0.8098
C -1.01 2.64 -2.57 -0.0695
C -1.70 3.49 -3.42 -0.7866
C -1.81 3.19 -4.77 -0.5785
C -1.24 2.03 -5.28 -0.7150
C -0.53 1.18 -4.44 -0.6086
C 2.39 0.76 -2.53 0.3373
C 2.77 1.24 -3.78 -0.1231
C 4.12 1.37 -4.09 -0.4619
C 5.08 1.02 -3.16 -0.7107
C 4.71 0.55 -1.91 -0.9323
C 3.37 0.41 -1.60 -0.5161
H 4.39 3.53 0.32 0.3982
H 6.07 3.54 2.14 0.4189
H 5.36 4.06 4.45 0.3950
H 3.01 4.64 4.93 0.4041
H 1.34 4.65 3.09 0.4021
H 2.01 2.99 -2.52 -0.3438
H 3.09 4.06 -4.45 0.4046
H 4.18 6.27 -4.17 0.3921
H 4.16 7.39 -1.96 0.4064
H 3.03 6.31 -0.05 0.4505
H -0.96 2.86 -1.51 0.2647
H -2.15 4.39 -3.01 0.4877
H -2.34 3.86 -5.43 0.4127
H -1.35 1.79 -6.32 0.4274
H -0.09 0.26 -4.81 0.5512
H 2.01 1.51 -4.50 0.3982
H 4.41 1.76 -5.06 0.4528
H 6.13 1.11 -3.41 0.4134